(Listing)
-- begin --
14
Properties=species:S:1:pos:R:3:forces:R:3:mulliken_charge:R:1 method="wB97M-V/def2-TZVPD" smiles="CN(C=O)CC=O" relative_energy_kcal_mol=32.6 energy_ev=-9845.866
C 0.141 -0.983 -1.374 0.6 -0.4 0.2 -0.915
N -0.343 -0.613 -0.052 -0.5 1.1 0.0 0.105
C -1.633 -0.176 0.116 0.2 -0.6 -0.2 0.045
O -2.003 0.532 1.017 0.0 0.2 0.4 -0.526
C 0.634 0.010 0.813 1.0 -0.3 0.4 -0.767
C 0.765 1.521 0.856 0.2 0.6 0.6 0.095
O 1.733 2.018 1.376 0.2 -0.3 -0.2 -0.473
H 0.711 -1.908 -1.274 -0.1 -0.1 -0.2 0.290
H -0.646 -1.111 -2.110 -0.3 -0.1 0.2 0.365
H 0.843 -0.241 -1.764 -0.1 0.2 0.0 0.334
H -2.332 -0.593 -0.617 -0.1 0.0 -0.3 0.353
H 1.620 -0.398 0.571 0.0 0.2 -0.2 0.419
-- stop --

(Activity)
Your job: count the lines further up that contain the word "smiles" and give the number alone.

(Outcome)
1